Ohm’s Law

Ohm’s law is the relationship between voltage, current, and resistance in a circuit. It is the most common (and most simple) formula used in electronics. Ohm’s law can be written in several ways, all of which are commonly used.

The current flowing through a resistance is equal to the voltage across the resistance divided by the resistance (I=V/R).Voltage is equal to the current flowing through a resistor times its resistance (V=IR).Resistance is equal to the voltage across a resistor divided by the current flowing through it (R=V/I).

'''
Here is a relaxed structure of Li2CoP2O7 from Materials Project. Energies are from PBE with a Hubbard U.

Output
mass density	3.0	g/cm³
energy of formation	-2.4711	eV per atom

Unit cell a=5.075 b=8.823 c=13.294 alpha=71.03 beta=88.61 gamma=73.57
Atoms (fractional coordinates):
1 Li 0.071 0.489 0.339
2 Li 0.120 0.256 0.943
3 Li 0.380 0.743 0.557
4 Li 0.429 0.511 0.161
5 Li 0.571 0.489 0.839
6 Li 0.620 0.257 0.443
7 Li 0.880 0.744 0.057
8 Li 0.929 0.511 0.661
9 Co 0.103 0.163 0.587
10 Co 0.397 0.835 0.913
11 Co 0.603 0.165 0.087
12 Co 0.897 0.837 0.413
13 P 0.019 0.355 0.150
14 P 0.216 0.893 0.129
15 P 0.283 0.108 0.371
16 P 0.481 0.645 0.350
17 P 0.519 0.355 0.650
18 P 0.717 0.892 0.629
19 P 0.784 0.107 0.871
20 P 0.981 0.645 0.850
21 O 0.009 0.507 0.184
22 O 0.098 0.062 0.866
23 O 0.155 0.186 0.250
24 O 0.180 0.958 0.424
25 O 0.186 0.246 0.424
26 O 0.214 0.347 0.061
27 O 0.234 0.339 0.627
28 O 0.266 0.660 0.873
29 O 0.286 0.654 0.440
30 O 0.314 0.755 0.075
31 O 0.320 0.043 0.076
32 O 0.345 0.814 0.250
33 O 0.403 0.937 0.634
34 O 0.491 0.494 0.316
35 O 0.509 0.506 0.684
36 O 0.597 0.063 0.366
37 O 0.655 0.186 0.750
38 O 0.680 0.957 0.924
39 O 0.686 0.245 0.925
40 O 0.714 0.346 0.560
41 O 0.734 0.340 0.127
42 O 0.766 0.661 0.373
43 O 0.786 0.653 0.939
44 O 0.814 0.754 0.576
45 O 0.820 0.042 0.576
46 O 0.845 0.814 0.750
47 O 0.902 0.938 0.134
48 O 0.991 0.493 0.816

---

Here is a relaxed structure of LiCo2P2O9 from Materials Project. Energies are from PBE with a Hubbard U.

Output
mass density	3.6	g/cm³
energy of formation	-2.0377	eV per atom

Unit cell a=13.614 b=6.060 c=7.377 alpha=90.00 beta=90.00 gamma=90.00
Atoms (fractional coordinates):
1 Li 0.226 0.250 0.058
2 Li 0.274 0.750 0.558
3 Li 0.726 0.250 0.442
4 Li 0.774 0.750 0.942
5 Co 0.000 0.000 0.000
6 Co 0.000 0.500 0.000
7 Co 0.122 0.250 0.653
8 Co 0.378 0.750 0.153
9 Co 0.500 0.000 0.500
10 Co 0.500 0.500 0.500
11 Co 0.622 0.250 0.847
12 Co 0.878 0.750 0.347
13 P 0.063 0.750 0.646
14 P 0.195 0.750 0.097
15 P 0.305 0.250 0.597
16 P 0.437 0.250 0.146
17 P 0.563 0.750 0.854
18 P 0.695 0.750 0.403
19 P 0.805 0.250 0.903
20 P 0.937 0.250 0.354
21 O 0.006 0.750 0.834
22 O 0.007 0.250 0.512
23 O 0.041 0.250 0.860
24 O 0.133 0.536 0.078
25 O 0.133 0.964 0.078
26 O 0.136 0.556 0.646
27 O 0.136 0.944 0.646
28 O 0.217 0.250 0.461
29 O 0.246 0.250 0.779
30 O 0.254 0.750 0.279
31 O 0.283 0.750 0.961
32 O 0.364 0.056 0.146
33 O 0.364 0.444 0.146
34 O 0.367 0.036 0.578
35 O 0.367 0.464 0.578
36 O 0.459 0.750 0.360
37 O 0.493 0.750 0.012
38 O 0.494 0.250 0.334
39 O 0.506 0.750 0.666
40 O 0.507 0.250 0.988
41 O 0.541 0.250 0.640
42 O 0.633 0.536 0.422
43 O 0.633 0.964 0.422
44 O 0.636 0.556 0.854
45 O 0.636 0.944 0.854
46 O 0.717 0.250 0.039
47 O 0.746 0.250 0.721
48 O 0.754 0.750 0.221
49 O 0.783 0.750 0.539
50 O 0.864 0.056 0.354
51 O 0.864 0.444 0.354
52 O 0.867 0.036 0.922
53 O 0.867 0.464 0.922
54 O 0.959 0.750 0.140
55 O 0.993 0.750 0.488
56 O 0.994 0.250 0.166

---
'''

Ohm’s law is also useful in determining the amount of power a circuit uses because the power draw of a circuit is equal to the current flowing through it, multiplied by the voltage (P=IV). Ohm’s law determines the power draw of a circuit as long as two of the variables in Ohm’s law are known for the circuit. One basic application of Ohm’s law and the power relationship is to determine how much power is dissipated as heat in a component. This information helps you choose the right-size component with the proper power rating for a given application. For example, when you select a 50-ohm surface mount resistor that will see 5 volts during normal operation, it must dissipate half a watt when it incurs 5 volts. The formula, with progressive substitutions, is:

P=I×V → P=(V÷R)×V → P=(5 volts)² ÷ 50 ohms → 0.5 watts

## Someone pasted calculated crystals at this point
+++
# 1
# LiFe8O12

A geometry-optimized LiFe8O12 structure (GGA+U, the Materials Project).

energy with MP2020 corrections = -161.7 eV per cell
total energy = -135.438 eV/f.u.
SG = No. 3
energy relative to the elements = -1.556 eV per atom

Lattice parameters (Å, degrees): 5.318 5.369 9.063 90.00 106.98 90.00
Sites, in units of the cell vectors:
Li: 0.000 0.000 0.000
Fe: 0.174 0.486 0.191
Fe: 0.243 0.949 0.410
Fe: 0.248 0.437 0.583
Fe: 0.337 0.889 0.804
Fe: 0.663 0.889 0.196
Fe: 0.752 0.437 0.417
Fe: 0.757 0.949 0.590
Fe: 0.826 0.486 0.809
O: 0.000 0.350 0.000
O: 0.000 0.758 0.500
O: 0.035 0.824 0.198
O: 0.082 0.296 0.357
O: 0.422 0.083 0.637
O: 0.466 0.562 0.792
O: 0.500 0.009 0.000
O: 0.500 0.651 0.500
O: 0.534 0.562 0.208
O: 0.578 0.083 0.363
O: 0.918 0.296 0.643
O: 0.965 0.824 0.802


# 2
# Li5CrO5

A geometry-optimized Li5CrO5 structure (GGA+U, the Materials Project).

energy with MP2020 corrections = -267.2 eV per cell
total energy = -61.378 eV/f.u.
SG = No. 5
largest piezoelectric modulus = 1.43 C/m2
energy relative to the elements = -2.079 eV per atom

Lattice parameters (Å, degrees): 5.138 5.138 21.597 95.16 95.16 47.10
Sites, in units of the cell vectors:
Li: 0.024 0.024 0.215
Li: 0.123 0.127 0.335
Li: 0.123 0.127 0.915
Li: 0.145 0.106 0.625
Li: 0.226 0.225 0.035
Li: 0.275 0.274 0.465
Li: 0.373 0.377 0.165
Li: 0.373 0.377 0.584
Li: 0.395 0.355 0.875
Li: 0.476 0.475 0.285
Li: 0.525 0.524 0.715
Li: 0.623 0.627 0.416
Li: 0.623 0.627 0.835
Li: 0.645 0.605 0.125
Li: 0.726 0.725 0.535
Li: 0.775 0.774 0.965
Li: 0.873 0.877 0.085
Li: 0.873 0.877 0.665
Li: 0.894 0.855 0.375
Li: 0.976 0.976 0.785
Cr: 0.181 0.320 0.750
Cr: 0.431 0.569 0.000
Cr: 0.680 0.819 0.250
Cr: 0.932 0.068 0.500
O: 0.022 0.978 0.000
O: 0.082 0.055 0.708
O: 0.087 0.066 0.423
O: 0.184 0.164 0.827
O: 0.195 0.168 0.542
O: 0.272 0.228 0.250
O: 0.332 0.305 0.958
O: 0.336 0.317 0.673
O: 0.433 0.414 0.077
O: 0.444 0.419 0.792
O: 0.523 0.477 0.500
O: 0.581 0.556 0.208
O: 0.586 0.567 0.923
O: 0.683 0.664 0.327
O: 0.695 0.668 0.042
O: 0.772 0.728 0.750
O: 0.832 0.805 0.458
O: 0.836 0.816 0.173
O: 0.934 0.913 0.577
O: 0.945 0.918 0.292


# 3
# Li2MnF4

A geometry-optimized Li2MnF4 structure (GGA+U, the Materials Project).

energy with MP2020 corrections = -41.5 eV per cell
total energy = -37.968 eV/f.u.
SG = No. 111
largest piezoelectric modulus = 0.54 C/m2
energy relative to the elements = -2.978 eV per atom

Lattice parameters (Å, degrees): 4.408 4.408 5.007 90.00 90.00 90.00
Sites, in units of the cell vectors:
Li: 0.000 0.500 0.000
Li: 0.500 0.000 0.000
Mn: 0.000 0.000 0.500
F: 0.237 0.237 0.779
F: 0.237 0.763 0.221
F: 0.763 0.237 0.221
F: 0.763 0.763 0.779


Q: The highest energy relative to the elements belongs to which entry?
A: LiFe8O12


VASP calculation (PBE-GGA) on crystalline LaB2Pt2C at its relaxed geometry.

Geometry as extended XYZ:
```
6
Lattice="-1.949 1.949 5.394 1.949 -1.949 5.394 1.949 1.949 -5.394" Properties=species:S:1:pos:R:3 pbc="T T T"
La 0.000 0.000 0.000
+++

Therefore, you’ll require a resistor with a greater power rating than 0.5 watts. Knowing the power usage of the components in a system lets you know if additional thermal problems or cooling may be required. It also dictates the size of the power supply for the system.

Kirchhoff’s Circuit Laws

Kirchhoff’s circuit laws tie Ohm’s law into a complete system. Kirchhoff’s Current Law follows the principle of conservation of energy. It states that the total sum of all current flowing into a node (or point) on a circuit is equal to the sum of the current flowing out of the node. A simple example of Kirchhoff’s Current Law is a power supply and resistive circuit with several resistors in parallel. One of the nodes of the circuit is where all the resistors connect to the power supply. At this node, the power supply generates current into the node and the current divides among the resistors and flows out of that node and into the resistors. Kirchhoff’s Voltage Law also follows the principle of conservation of energy. It states that the sum of all the voltages in a complete loop of a circuit must equal zero. Extending the previous example of a power supply with several resistors in parallel between the power supply and ground, each individual loop of the power supply, a resistor, and ground sees the same voltage across the resistor since there is only one resistive element. If a loop has a set of resistors in series, the voltage across each resistor is divided according to the Ohms law relationship.